Regarding throws in hdremix

Obviously you didn’t read closely enough. A reversal wake up throw will beat a meaty attack because of the half frame advantage for wake up animations. But against a perfect tick into normal throw, a counter reversal throw, should not automatically beat a perfect normal tick throw.

If you tick someone, then perform a throw on the first frame that they recover (a perfect tick), and they perform a reversal throw on that same frame, and both players are within throw range…the reversal throw should not win that situation 100% of the time. It should be random. Unless block or hit stun also work with half frames just like wake up animations. You need raw frame data to prove this however.

If a Zangief ticks another Zangief and goes for SPD, and the other Zangief does a reversal SPD, it is random who wins correct? Meaning that the reversal throw doesn’t always win. Are you sure that your FAQ is correct?

No. The ST engine has a bug where even a perfectly timed reversal throw will come out as a normal attack even if you have exact timing. So if your opponent is within range and you enter the exact inputs for a reversal throw you might lose to a meaty attack because of the ST engine. Remember in ST that some characters cannot use their SUPER attack as reversals. Perfectly executed reversal throws coming out as normal attacks randomly is just another finite aspect of ST.

=====
No. 1
This entry pairs a crystal structure of Tm3AlTe2 with its computed XRD peak list. Radiation: copper Kα. Structure: DFT lattice parameters and positions (GGA-PBE).

The 8 most intense peaks (15° ≤ 2θ ≤ 90°), by angle:
29.50°, I = 589, hkl 0 2 0
29.55°, I = 1000, hkl 1 0 3
40.57°, I = 200, hkl 0 0 6
42.25°, I = 758, hkl 1 2 3
50.96°, I = 207, hkl 0 2 6
53.82°, I = 191, hkl 2 2 0
61.31°, I = 183, hkl 0 4 0
69.49°, I = 336, hkl 1 4 3

Cell and atoms:
a b c (Å): 4.121 6.053 13.341
angles (deg): 90.00 90.00 90.00
Space group Immm (No. 71)
Asymmetric unit:
Tm  0.000  0.000  0.000
Tm  0.000  0.000  0.344
Al  0.000  0.500  0.000
Te  0.000  0.500  0.328

No. 2
This entry pairs a crystal structure of Er4SbOs with its computed XRD peak list. Radiation: copper Kα. Structure: DFT lattice parameters and positions (GGA-PBE).

The 8 most intense peaks (15° ≤ 2θ ≤ 90°), by angle:
30.20°, I = 336, hkl 1 1 2
31.24°, I = 968, hkl 2 0 -1
32.96°, I = 982, hkl 1 2 -1
33.34°, I = 450, hkl 1 2 1
34.22°, I = 347, hkl 2 1 -1
34.94°, I = 742, hkl 2 1 1
35.28°, I = 1000, hkl 0 2 2
35.71°, I = 901, hkl 1 0 -3

Cell and atoms:
a b c (Å): 6.033 6.509 8.166
angles (deg): 90.00 92.12 90.00
Space group P2_1/m (No. 11)
Asymmetric unit:
Er  0.111  0.001  0.213
Er  0.346  0.250  0.626
Er  0.389  0.750  0.909
Sb  0.195  0.750  0.545
Os  0.198  0.250  0.940

No. 3
This entry pairs a crystal structure of Ti3CrGa4 with its computed XRD peak list. Radiation: copper Kα. Structure: DFT lattice parameters and positions (GGA-PBE).

The 8 most intense peaks (15° ≤ 2θ ≤ 90°), by angle:
39.83°, I = 1000, hkl 2 0 2
43.69°, I = 192, hkl 4 0 0
47.59°, I = 286, hkl 0 2 2
66.57°, I = 192, hkl 4 2 2
69.58°, I = 81, hkl 0 0 4
77.63°, I = 121, hkl 6 0 2
83.29°, I = 187, hkl 2 2 4
85.87°, I = 88, hkl 4 0 4

Cell and atoms:
a b c (Å): 8.288 5.403 5.406
angles (deg): 90.00 90.00 90.00
Space group Pmn2_1 (No. 31)
Asymmetric unit:
Ti  0.000  0.022  0.000
Ti  0.250  0.264  0.272
Cr  0.000  0.485  0.540
Ga  0.000  0.516  0.035
Ga  0.000  0.992  0.508
Ga  0.241  0.759  0.270

No. 4
This entry pairs a crystal structure of TbB4Rh4 with its computed XRD peak list. Radiation: copper Kα. Structure: DFT lattice parameters and positions (GGA-PBE).

The 8 most intense peaks (15° ≤ 2θ ≤ 90°), by angle:
29.15°, I = 423, hkl 1 0 2
33.73°, I = 233, hkl 1 1 2
35.71°, I = 760, hkl 2 0 1
39.62°, I = 1000, hkl 2 1 1
39.91°, I = 731, hkl 1 0 3
45.05°, I = 335, hkl 2 1 2
64.11°, I = 226, hkl 3 2 1
70.94°, I = 291, hkl 2 2 4

Cell and atoms:
a b c (Å): 5.339 5.339 7.479
angles (deg): 90.00 90.00 90.00
Space group P4_2/nmc (No. 137, origin choice 2)
Asymmetric unit:
Tb  0.250  0.750  0.250
B  0.081  0.250  0.101
Rh  0.001  0.750  0.605

No. 5
This entry pairs a crystal structure of CsNaSrBr4 with its computed XRD peak list. Radiation: copper Kα. Structure: DFT lattice parameters and positions (GGA-PBE).

The 8 most intense peaks (15° ≤ 2θ ≤ 90°), by angle:
22.70°, I = 353, hkl 0 2 0
26.39°, I = 1000, hkl 1 2 -1
=====

Correct, once you are on your first frame of standing after your wake up animation, you have 13 frames where you cannot be thrown by any throw (command or normal). This 13 frame window is universal for all characters.

They way I understood it a reversal/counter throw is just like a reversal special and comes out before you yourself are in a throwable state.

This is different from inputting it on the exact same frame where it is random who gets the throw.

The fact that you’re using “half frame advantage” lets me know that you don’t know this subject as well as you think you do. This game doesn’t operate on half frames. It’s a frame or it’s not.

Inserted here: data records >
/*
Record 1
Sr5Sn2N6: computed powder diffractogram (a wavelength of 1.5418 Å), based on DFT lattice parameters and positions (GGA-PBE).

Cell and atoms:
a b c (Å): 10.9139 6.9051 13.8991
angles (deg): 90.00 99.94 90.00
Space group C2/c (No. 15)
Unique sites:
Sr1 0.0000 0.1319 0.2500 x4
Sr2 0.0446 0.2285 0.9989 x8
Sr3 0.1570 0.3891 0.7168 x8
Sn1 0.2190 0.3983 0.4263 x8
N1 0.0409 0.4916 0.3754 x8
N2 0.1445 0.0263 0.6538 x8
N3 0.1944 0.0810 0.4236 x8

Principal peaks in the range 10 to 90 degrees two-theta, sorted by position:
hkl, d_spacing, Position (°2θ), intensity
1 1 -1, 5.537, 16.01, 48
1 1 -4, 3.078, 29.01, 72
3 1 1, 2.998, 29.80, 92
3 1 -3, 2.820, 31.73, 95
0 2 3, 2.753, 32.52, 100
2 0 4, 2.685, 33.37, 68

***

Record 2
SrSnN2: computed powder diffractogram (a wavelength of 1.5418 Å), based on DFT lattice parameters and positions (GGA-PBE).

Cell and atoms:
a b c (Å): 6.7603 7.5569 6.2084
angles (deg): 90.00 106.09 90.00
Space group P2_1/c (No. 14)
Unique sites:
Sr1 0.1460 0.1084 0.3140 x4
Sn1 0.3626 0.6473 0.3949 x4
N1 0.2051 0.6789 0.0543 x4
N2 0.3153 0.1154 0.9957 x4

Principal peaks in the range 10 to 90 degrees two-theta, sorted by position:
hkl, d_spacing, Position (°2θ), intensity
1 1 1, 3.458, 25.76, 28
0 2 1, 3.192, 27.95, 100
1 0 -2, 3.050, 29.28, 90
2 1 0, 2.986, 29.92, 100
1 1 2, 2.343, 38.43, 35
1 2 -3, 1.814, 50.29, 34

***

Record 3
SrSnN2: computed powder diffractogram (a wavelength of 1.5418 Å), based on DFT lattice parameters and positions (GGA-PBE).

Cell and atoms:
a b c (Å): 4.0170 4.0170 8.4963
angles (deg): 90.00 90.00 90.00
Space group P4/nmm (No. 129, origin choice 2)
Unique sites:
Sr1 0.2500 0.2500 0.1383 x2
Sn1 0.2500 0.2500 0.6067 x2
N1 0.2500 0.2500 0.8480 x2
N2 0.2500 0.7500 0.5000 x2

Principal peaks in the range 10 to 90 degrees two-theta, sorted by position:
hkl, d_spacing, Position (°2θ), intensity
1 0 2, 2.919, 30.63, 100
1 1 0, 2.840, 31.50, 57
2 0 0, 2.008, 45.14, 26
1 1 4, 1.701, 53.90, 26
2 1 2, 1.655, 55.54, 39
2 0 4, 1.459, 63.79, 16

***

Record 4
Zn4SnN4: computed powder diffractogram (a wavelength of 1.5418 Å), based on DFT lattice parameters and positions (GGA-PBE).

Cell and atoms:
a b c (Å): 5.8659 5.9920 8.6971
angles (deg): 89.75 73.75 88.98
Space group P-1 (No. 2)
Unique sites:
Zn1 0.0084 0.3634 0.1242 x2
Zn2 0.2684 0.1561 0.3464 x2
Zn3 0.2994 0.6302 0.5524 x2
Zn4 0.3298 0.8459 0.0467 x2
Sn1 0.2191 0.1166 0.7346 x2
N1 0.0298 0.6939 0.0951 x2
N2 0.0541 0.8243 0.6852 x2
N3 0.3502 0.3002 0.5267 x2
N4 0.4857 0.9940 0.8295 x2

Principal peaks in the range 10 to 90 degrees two-theta, sorted by position:
hkl, d_spacing, Position (°2θ), intensity
1 0 1, 5.425, 16.34, 66
0 1 -2, 3.427, 26.00, 64
-1 1 1, 3.396, 26.24, 60
2 0 0, 2.818, 31.76, 68
-1 1 2, 2.659, 33.71, 100
1 1 3, 2.566, 34.97, 78

***

Record 5
Zn2SnN2: computed powder diffractogram (a wavelength of 1.5418 Å), based on DFT lattice parameters and positions (GGA-PBE).

Cell and atoms:
a b c (Å): 12.0039 3.4053 7.8857
*/
End of the data records >

Again…follow me. Your character makes contact with a move that gives you frame advantage and puts me into hit/block stun. Let’s say, for the sake of example, it’s a light attack and I blocked it. I am now in block stun for 11 frames. Once the attack for your move ends, you walk forward into my throw range in an attempt to throw me. However, on frame 11 of block stun, the frame right before I come out of block stun, I now have the ability to throw you. You, however, do not because I am still considered in block stun. So, unless you jump or do a move with invincibility at this point, if I reversal throw, you get thrown. A normal throw attempt from you will not work because I’m still unthrowable at the time that I’m throwing you.

I hope that was clear. The same applies whether it’s the last frame of hit stun, the last frame of getting up from a knockdown, or the last frame of recovering from non-knockdown aerial hit-stun. (Incidentally, this topic was thoroughly fleshed out a few months ago in a thread that was made for this commonly discussed topic. Of course, it’s probably waaaaaaaay down the thread list by now.)

You have your terms confused here. You’re not describing a reversal throw at this point. You’re describing a counter throw…which is simply trying to counter a throw attempt that you know is coming…which may or may not work because you’re both throwable at that point. A reversal counter-throw will always work because the opponent is throwable and you are not…unless the opponent is either not in throw range or unthrowable themselves.

The only way that a reversal SPD doesn’t grab in this situation is if the SPD has startup frames that don’t grab. That’s the ONLY way. To my knowledge, frames 1 through 11 of the SPD will grab the opponent and take them for a ride, so there is no reason that a reversal SPD doesn’t work everytime…to my knowledge. Someone even more expert in frame data will have to confirm that for me. NKI, you out there?

Of course…any perfect system is thrown out of kilter when silly things like “bugs” and “human error” are introduced. Those are called…exceptions. Outside of those rare occasions, what I said is true and I stand by it.

I should’ve just read this twice instead of posting my wall of text. :slight_smile:

You perfectly described what’s happening in NKI’s video about reversals on YouTube. A reversal throw has the exact same unthrowable properties as a reversal special move that has initial invincibility. The only difference, though, is that a reversal throw will grab on the same frame that it’s executed…provided…of course…that the opponent is in throw range and not trying to grab a move with invincibility. In other words…it will grab a throw attempt.

Now you are being a complete dolt. T-Akiba’s frame data lists frames at .5 for wake up animations. I didn’t say at any point that the game operates at 120fps or has true half frames in terms of the engine running the animation (but the game picks up inputs at intervals much smaller than a frame so the game does have a layer of operation that is smaller than a frame). I said that a half frame is a way of referencing the frames where reversal throws occur during wake ups and I even specifically broke it down at 60fps. It’s a way of expressing a special property of wake up animations by breaking down the frames into even smaller units (or half frames). Are you saying that T.Akiba doesn’t know this subject either? The wake up animations are listed as half frames for a reason. Get off your high horse and try reading and comprehending my posts. You just don’t know how to read. :lame:

What data do you have to support the fact that if you are in block stun for 11 frames that you can throw on the 11th frame of stun animation? This is all I want. Some hard evidence that people can throw on the last frame of stun. I know people have theorized that a reversal throw will always beat a tick throw but there isn’t a complete hard analysis of this specific scenario. And all other instances where two throws occur simultaneously, the winner is chosen randomly, meaning a perfect normal tick throw meeting a normal reversal throw will result in a random winner.

In [media=youtube]6i1TPQQ_AVA"[/media] the only option presented to escape a perfect command tick throw is a reversal ATTACK and not a throw. In your scenario a normal reversal throw can potentially beat a perfect tick throw if it is within range. If Zangief is overlapping his active grab frames across your first frame of recovery when do you have time to throw him out of his active grab frames providing you are in range for a normal throw? The only way it would be possible was if you could throw on the last frame of block or hit stun which I don’t see as being possible unless stun frames have special properties like wake up animations. Even if you are in range and you reversal throw with a normal throw, according to popular theory (I have no hard evidence for this but I’m fairly certain) the reversal throw would lose to the active grab frames of Zangief’s SPD if you tried to reversal throw out of a perfect command throw tick.

Alright…I stand corrected on the half frame thing. That’s fine. I still contend, however, that it doesn’t apply to this subject, and I explained why in my response.

It’s common knowledge that the last frame of hit/block stun, the last frame of getting up from a knockdown, and the last frame of recovering from non-knockdown aerial hit-stun is called “the reversal frame” or “the reversal window”, so, based on pure logical deduction, I can very confidently say that in that frame of animation, you can perform either a reversal throw or reversal special move and you will be able to throw your opponent before they can throw you or become unthrowable before they can throw you.

NKI told me in a private message that on standing opponents, light attacks and all jumping attacks stun for 11 frames, medium attacks stun for 16 frames, and hard attacks and stun for 21 frames. (Special moves usually stun like hard attacks, but it depends on the move in question and whether you’re blocking or getting hit.) Crouching opponents get stunned by jumping attacks as if they were standing.

I also consider NKI a rather reliable source and, unless I’ve twisted around what he said…and he’s free to tell me so, I’d tend to think that what I stated above is true. “Dolt” or not, I’ve been talking about Street Fighter for a while, too. By the way, I truly do hope that you weren’t offended because I told you that you were wrong or because I “wasted” your time responding with my opinion. Other than that, I see no reason for the immature name-calling.

Welp…I don’t have a video that points to it. I’m sure somebody out there does if it exists. I’m pretty sure we can tell, though, that throwing in World Warrior and throwing in Super Turbo are two vastly different things.

VFF, look at the example again. Why would a reversal special move be the only option presented to counter Zangief’s Spinning Pile Driver? Could it be that the SPD’s throw range dwarfs just about everything else out there? I’m just saying that would be my reasoning. It’s more likely that he’ll be ticking from outside of your throwing range, than inside it. Yes, I know it has more active throwing frames than any other move, too, but…again…how can you throw something that’s unthrowable? Again, the person in the reversal window is unthrowable, but they can throw or do a special move. It gives the person in it the chance to avoid being put into a throw loop for simply either getting hit, blocking an attack, getting knocked down, or getting hit out of the air. The only way the above is possible when it comes to a reversal throw is if a reversal throw is unthrowable. It’s a special property that doesn’t exist in World Warrior, but does exist in Champion Edition onward. (Pretty sure it started in CE, but it could just as easily be HF. Someone else can confirm.)

Think about something else…if reversal throws don’t exist, how do charge characters get out of walk-up tick throws if they’re walking forward and then suddenly block a crouching attack? They can’t charge a special move in that amount of time. Are they doomed to a 50/50 chance that they might be able to throw out of the situation? Not with reversal throws. The only thing that stops them from reversal throwing in that situation is if their opponent makes themself unthrowable, whether by stopping outside of their throw range and taking advantage of their longer throwing range or by doing a special move that’s unthrowable.

I guess we’ll know for sure when the link to a video gets posted.

You specifically said that someone can interrupt the last frame of hit or block to perform a reversal throw. If the ‘reversal window’ as you are naming it is so universal across stun and wake up, that means it would allow someone to perform a reversal attack on the last frame of block stun as well. You are implying that if someone is put in 11 frames of stun that they can cancel the 11th frame into a reversal throw or attack and reduce the stun to 10 frames. Reversal attacks and throws must come on the first frame after stun (stun and wake up are different in ST), not the last frame during stun, so you are saying that reversal throws are a special exception to this rule as reversal attacks certainly do not come out during the last frame of stun.

Yes. There you have it. Jump in and light attacks lend 11 solid frames of advantage. Yet wake up animations are expressed in units of .5 with a special note attached to them. Why is that? Maybe it is because wake up animations have a special property that block and hit stun recovery do not? Maybe that’s why wake up animations have a special reversal throw window that stun recovery animations do not?

NKI’s source is probably T.Akiba’s frame data. And you’ve been playing SF long but you didn’t even know about the special properties of wake up animations and said “you don’t know what you are talking about” when I clearly was looking at raw frame data.

### Attached: calculated crystals
Entry 1:
This entry pairs a crystal structure of TiInSnF6 with its calculated powder diffractogram. Radiation: a wavelength of 1.5418 Å. Structure: a crystal structure in Alexandria, relaxed with PBE.

Atomic structure:
```
TiInSnF6
1.0
5.1417 0.0000 0.0000
0.1148 5.9180 0.0000
0.0155 2.8576 5.3260
Ti In Sn F
1 1 1 6
Cartesian
0.0000 0.0000 0.0000 Ti
2.3990 2.9217 1.7220 In
4.8421 5.9325 3.5497 Sn
1.0761 6.1789 1.8312 F
1.1038 4.1102 4.3067 F
1.1698 7.0684 4.7147 F
4.0808 1.6149 0.4719 F
4.1371 4.7292 0.9885 F
4.1864 2.3410 3.6201 F
```

Principal peaks in the range 2θ from 10° to 90°, in order of rising 2θ:
- 17.26 deg, I = 28
- 24.01 deg, I = 100
- 24.15 deg, I = 39
- 24.35 deg, I = 52
- 24.57 deg, I = 58
- 24.67 deg, I = 30
- 29.08 deg, I = 39
- 29.59 deg, I = 40
- 30.21 deg, I = 35
- 39.04 deg, I = 36
- 39.45 deg, I = 31
- 46.33 deg, I = 34

***

Entry 2:
This entry pairs a crystal structure of Zr2InSnF with its calculated powder diffractogram. Radiation: a wavelength of 1.5418 Å. Structure: a crystal structure in Alexandria, relaxed with PBE.

Atomic structure:
```
Zr2InSnF
1.0
5.4888 0.0000 0.0000
0.0000 5.4888 0.0000
0.0000 0.0000 4.2524
Zr In Sn F
2 1 1 1
Cartesian
0.0000 2.7444 0.0000 Zr
2.7444 0.0000 0.0000 Zr
0.0000 0.0000 0.0000 In
2.7444 2.7444 2.1262 Sn
0.0000 0.0000 2.1262 F
```

Principal peaks in the range 2θ from 10° to 90°, in order of rising 2θ:
- 20.89 deg, I = 21
- 26.52 deg, I = 81
- 31.20 deg, I = 51
- 32.63 deg, I = 100
- 39.06 deg, I = 16
- 42.52 deg, I = 71
- 46.81 deg, I = 36
- 54.60 deg, I = 56
- 57.34 deg, I = 18
- 65.08 deg, I = 40
- 68.36 deg, I = 17
- 77.82 deg, I = 24

***

Entry 3:
This entry pairs a crystal structure of TaInF5 with its calculated powder diffractogram. Radiation: a wavelength of 1.5418 Å. Structure: a crystal structure in Alexandria, relaxed with PBE.

Atomic structure:
```
TaInF5
1.0
5.8428 -4.1764 0.0000
5.8428 4.1764 0.0000
-5.6932 0.0000 5.8853
Ta In F
2 2 10
Cartesian
5.8428 -4.1759 0.0000 Ta
2.9962 4.1759 2.9427 Ta
1.9707 0.0024 3.9840 In
4.8172 -0.0024 1.0414 In
1.5754 4.1580 4.4132 F
1.4190 -0.0018 1.3727 F
-1.4276 0.0018 4.3153 F
5.8341 2.2008 0.0070 F
3.0145 2.2007 2.9252 F
2.9875 -2.2008 2.9496 F
0.1679 -2.2007 5.8679 F
7.4185 0.0002 1.5718 F
4.5719 -0.0002 4.5144 F
4.4219 -4.1580 1.4706 F
```

Principal peaks in the range 2θ from 10° to 90°, in order of rising 2θ:
- 14.96 deg, I = 35
- 21.16 deg, I = 100
- 21.27 deg, I = 99
- 21.71 deg, I = 34
- 26.40 deg, I = 75
- 26.53 deg, I = 74
- 30.18 deg, I = 46
- 40.36 deg, I = 22
- 40.63 deg, I = 66
- 43.08 deg, I = 23
- 43.33 deg, I = 23
- 48.54 deg, I = 25

***

Entry 4:
This entry pairs a crystal structure of In2TeF2 with its calculated powder diffractogram. Radiation: a wavelength of 1.5418 Å. Structure: a crystal structure in Alexandria, relaxed with PBE.

Atomic structure:
```
In2TeF2
1.0
-1.9663 1.9663 6.4968
1.9663 -1.9663 6.4968
1.9663 1.9663 -6.4968
In Te F
2 1 2
Cartesian
0.0000 0.0000 1.7623 In
0.0000 0.0000 11.2313 In

Because command throws override normal throws and there is no frame or window coming out of block or hit stun that can reversal normal throw your opponent out of a perfect tick. T.Hawk players will tick and then command throw people at point blank all the time. Why don’t we see people reversal throwing T.Hawk players in ST? Maybe because if Hawk perfectly times the tick into throw a reversal throw would do nothing?

But you are saying that if Zangief is within range of a normal throw after a tick, a perfectly timed reversal throw will always beat the perfect tick SPD.

Yes. Unless they have enough charge for a reversal, a charge character must try to counter throw the tick throw. And if a charge player doesn’t have charge stored, and gets ticked, and times a reversal throw on the exact frame of the opponent’s throw, the game rolls the dice with deciding the winner. So at best without charge you have a 50/50 shot of your throw winning (if it is a reversal throw) against your opponent’s perfect normal tick throw.

I see what you are saying now. Obviously that totally makes sense with regards to wake up, and I completely agree with you on that.

I still stand by my assertion that “perfect” tick throws can be safely reversed by a throw.

I also highly doubt that the game processes input at a higher rate than the game clock. It does buffer the inputs that it does process though.

Zangief can do a standing 720 with lightning input. His jump is five frames, there are more than five directional commands involved in doing a 720 once you reach an upwards direction. So within a single frame the game is registering more than one input and breaking it down into units smaller than 1/60 of a second. The game can register six directional inputs in only five frames because the engine was designed to process inputs at a rate higher than the animation. If the game didn’t read inputs at smaller units than 1/60 of a second then 720 motions would take one frame per motion (or change of directional input) and would be useless.

The game does pick up inputs at units smaller than a frame but the game only moves (in terms of animation) at speeds of 1/60 of a second so you can’t see inputs broken down smaller than 1/60 ever even though the game is detecting them. It’s tough to explain, though the animation is moving at 60fps, the engine is working at a different pace regarding picking up joystick and button inputs.

You have a one frame window to input a button for a reversal. So within that 1/60 of a second before the reversal frame you can input the button up or down command at any time during that 1/60 of a second. 1/60 (or one frame) is actually the largest window for a reversal and not the smallest. When you press the button down on the arcade board, it sends an electronic input signal to the CPS2 board (or PS3 or whatever), a signal that lasts much shorter than 1/60 of a second. The smallest increment that an input registers is actually much tinier than 1/60 of a second. However I’m sure once you input a button the game registers that input for a single frame (meaning the game won’t allow for turbo buttons at 1/120 of a second because two sequential inputs at 1/120 will overlap anyways).

This is false and NKI’s video proves it. In that video, Guile never comes out of his blocking stance…not even for half a frame, as you would suggest. He goes directly into the special move. He also does the same thing for reversal throws.

I can see now why you would think this is a valid point to keep bringing up. I just looked at that section of the frame data and, apparently, during that last half a frame, a meaty attack won’t connect, but the person getting up can actually do stuff. My question, though, is…if the person can perform actions without their hitbox being present…can’t they throw during that time, too? Aren’t they, in fact, able to throw before they can be thrown?

So, even with that bit of information, which I will openly and freely admit that I did not know and you did and proves that I came into this argument assuming too much of my own knowledge, it still serves to prove that you can throw someone before they can throw you because you’re unthrowable.

We reeeeeeally need video proof of this at this point.

Touche, VFF, touche. I’ll give you virtual dap, too. :slight_smile:

…or Hawk could be ticking from outside of his throw range. I’m still saying that there’s no way a command throw can throw someone that’s in an unthrowable state, which is what the reversal frame is. We’ll never agree until we see a video.

If that’s true, then what you’ve described is a badly designed game mechanic skewed against charge characters. Charge characters should be absolute tick-throw fodder if they think about walking forward. I seriously doubt this is true. They would have to be able to reversal throw with the rest of the cast to compensate for not always being able to escape tick throws.

Video. Must…have…video.

vf4, the wakeup animation length being xx.5 does not mean it the duration is xx and a half frame. It is only a notation to clarify something, there is no real half frame of anything.

It’s written like that to make clear that on frame xx the rising opponent can start doing stuff (like jump as written on the site) but cannot be hit untill frame xx+1. So depending on the perspective you’re looking at the wakeup data from, it is either xx frames long, or xx+1 frames long. hence xx.5 is used to describe it from both perspectives.

It registers multiple inputs per frame. It captures the entire state of the joystick every frame. If you were to hold down+back. That would register as both down and back. So Zangief only needs to hit the 4 corners in order to get a 360 motion. Also if you execute a special move too fast in this game it sometimes doesn’t come out.

I can almost guarantee the game does not process inputs faster than 1/60s. (I’d be able to prove it by looking at the code.)

Anyway, I believe Fulaani is correct. And until I’m proven wrong with empirical evidence I’m not changing my opinion.

To hijack this thread in a similar direction.

Would it be possible to have sirlin or someone else with the know how to look at how the Throw ranges were changed on a pixel level for the characters that had their range changed ?